• Input:
........
Density functional theory data (ωB97M-V/def2-TZVPD) for the ion C4H9O2 with charge +1.

Summary:
LUMO = -4.76 eV
HOMO-LUMO gap = 0.4402 hartree
charge = +1
E_tot = -307.95455 a.u.
highest occupied orbital energy = -16.74 eV

CARTESIAN COORDINATES (ANGSTROEM)
H -1.20 -1.45 -1.11
H -1.57 1.02 -1.13
C 0.89 0.02 0.02
O 0.20 1.22 -0.01
H -1.47 2.52 -0.21
C 2.44 0.23 0.08
C -1.28 1.40 -0.16
H -1.92 0.93 0.62
H 2.65 0.27 1.11
C -0.86 -1.55 -0.01
H -1.73 -1.06 0.60
O 0.42 -1.15 0.16
H -0.77 -2.67 0.22
H 2.95 -0.53 -0.46
H 2.72 1.18 -0.29

Need the natural (NBO) charges? In units of e they are: 0.22 0.21 0.92 -0.45 0.25 -0.67 -0.28 0.22 0.27 -0.32 0.23 -0.40 0.25 0.26 0.27

~~~~~

Density functional theory data (wB97M-V/def2-TZVPD) for C13H18Cl3N3O4PbS4 as an isolated structure.

Geometry (Å):
Pb 1.472 -0.446 -2.457
Cl -3.572 -3.000 -0.945
C 1.169 -2.134 0.190
Cl 1.558 -1.055 1.338
H 2.020 -2.300 -0.451
H 0.594 -2.924 0.641
S -3.962 -1.661 -2.453
S -3.325 -2.511 -4.140
S -1.322 -1.944 -4.299
S -0.272 -3.652 -3.944
O 0.471 1.483 -3.183
N -0.579 1.889 -2.580
N -0.992 1.137 -1.649
O -0.408 0.001 -1.318
C -2.163 1.517 -0.901
C -2.773 2.742 -1.132
C -3.905 3.063 -0.403
C -4.413 2.180 0.542
C -3.780 0.967 0.764
C -2.644 0.626 0.043
H -2.369 3.423 -1.865
H -4.391 4.014 -0.573
H -5.297 2.442 1.108
H -4.166 0.276 1.502
H -2.136 -0.313 0.203
O 3.573 2.271 -0.076
C 3.245 1.125 0.092
O 2.533 0.412 -0.764
C 3.752 0.319 1.314
N 3.087 -0.970 1.595
C 0.577 -1.288 2.653
C 2.668 1.834 3.068
C 3.953 1.220 2.531
H 4.743 -0.020 0.990
H -0.435 -0.983 2.433
H 1.366 0.160 0.767
H 1.961 1.071 3.393
H 1.122 -0.817 3.458
H 2.877 2.472 3.926
H 2.185 2.451 2.308
H 4.448 0.629 3.304
H 4.639 2.013 2.233
Cl 0.745 -5.045 -1.632
C -0.377 -3.773 -2.137
H -0.091 -2.841 -1.650
H -1.384 -4.061 -1.843

As for the HOMO energy: -8.39 eV. The value obtained for the frontier orbital gap is 7.73 eV.

~~~~~

{"formula": "C13H11O5PRu", "method": "the ωB97M-V functional and the def2-TZVPD basis", "symbols": ["O", "C", "Ru", "O", "C", "C", "O", "C", "O", "C", "O", "C", "P", "C", "C", "C", "C", "C", "C", "C", "H", "H", "H", "H", "H", "H", "H", "H", "H", "H", "H"], "coordinates": [[-1.6613, 1.6603, -3.2736], [-1.1935, 1.1927, -2.3517], [0.0000, 0.0000, 0.0000], [2.5441, -0.7142, -1.5451], [1.5717, -0.4291, -0.9976], [-1.5601, 0.4170, 1.0207], [-2.4721, 0.6413, 1.6876], [-0.7538, -1.6942, -0.4590], [-1.1808, -2.7406, -0.6821], [0.7655, 1.6824, 0.4828], [1.2530, 2.6679, 0.8263], [0.5327, 0.3388, 3.9714], [0.6923, -0.6024, 2.4097], [2.4647, -0.1920, 2.1387], [0.5952, -2.2089, 3.2782], [1.5400, -2.5112, 4.2914], [1.4881, -3.7133, 4.9942], [0.5023, -4.6472, 4.6927], [-0.4298, -4.3794, 3.6814], [-0.3854, -3.1647, 2.9763], [0.7254, 1.4083, 3.7482], [1.2290, 0.0376, 4.7731], [-0.5112, 0.2480, 4.3368], [3.0582, -0.3795, 3.0528], [2.8737, -0.8453, 1.3421], [2.6393, 0.8629, 1.8789], [2.3270, -1.8231, 4.5610], [2.2139, -3.9144, 5.7713], [0.4697, -5.5806, 5.2437], [-1.1830, -5.1191, 3.4547], [-1.1158, -2.9759, 2.2040]], "lowdin_spin": [0.014, 0.144, 2.048, 0.136, 0.121, 0.098, 0.040, 0.181, 0.184, 0.168, 0.163, 0.068, 0.410, 0.097, 0.179, 0.314, 0.044, 0.096, 0.328, 0.095, 0.003, 0.016, 0.003, 0.021, 0.001, 0.002, 0.011, 0.000, 0.001, 0.012, 0.001], "total_charge": 3, "multiplicity": 6, "e_lumo_ev": [-10.934, -15.878], "e_tot_ev": -35728.68401}

~~~~~

[1]
C18H48Li5O26P2S6 | ωB97M-V with the def2-TZVPD basis set

Calculated values
total charge: -1
relative energy (zero: lowest compared OMol25 entry of this formula, charge and spin): 1.7 kcal per mole
maximum force: 7.51 eV/Å
HOMO-LUMO gap: 2.7949 eV
HOMO level: -1.42 eV
multiplicity: 1

Each line ends with the Mulliken charge.
Element x y z (Å)
Li 1.725982 -1.425333 0.359138  0.69
Li -1.313569 1.423944 -2.066623  1.13
Li 1.909110 1.382136 -2.185441  1.12
Li 0.406059 -1.008976 -2.806246  0.58
Li -1.316612 -1.085728 0.583235  1.07
P 0.565000 0.506029 -4.647895  -0.22
O 0.745922 -1.100425 -4.560087  -0.59
O 1.998080 0.702914 -3.943262  -0.74
........
• Work order:
Next, transcribe the part of the notes further up that starts with the line with "0.203" and stops after the one with "2.433".
• Here it is:
H -2.136 -0.313 0.203
O 3.573 2.271 -0.076
C 3.245 1.125 0.092
O 2.533 0.412 -0.764
C 3.752 0.319 1.314
N 3.087 -0.970 1.595
C 0.577 -1.288 2.653
C 2.668 1.834 3.068
C 3.953 1.220 2.531
H 4.743 -0.020 0.990
H -0.435 -0.983 2.433